-- File --
- - -
Record 1
ORCA calculation (wB97M-V/def2-TZVPD) on a structure of composition C14H26N6O6Ti.

Output
- ΔE to the lowest compared entry with this formula, charge and spin: 113.7 kcal/mol
- <S²>: 0.761
- Gap between HOMO and LUMO (alpha / beta): 5.093 / 5.048 eV

The geometry in ORCA input format:
```
! RIJCOSX wB97M-V def2-TZVPD def2/J DEFGRID3
* xyz 1 2
O 4.0330 -0.6645 -3.5286
H 3.6792 0.2041 -3.2422
Ti 0.4067 0.4267 -0.1934
N 0.6937 -1.4317 -0.9774
N -0.6009 0.6577 -1.9455
N 1.1362 0.1837 1.6899
N -0.4304 2.0236 0.7821
O 0.9121 -2.4818 -0.3120
O 1.9565 -0.9001 2.1524
O -1.1932 3.0432 0.1994
O -1.2838 1.6985 -2.2540
C -0.1934 -0.2732 -2.8294
C 0.4912 -1.4073 -2.3057
C 0.6945 1.0679 2.6049
C -0.1573 2.0768 2.1006
C 0.9804 -2.5808 -3.0741
H 2.0601 -2.6990 -2.8944
H 0.8417 -2.4879 -4.1529
H 0.4738 -3.5006 -2.7408
C -0.5074 -0.0148 -4.2559
H -0.0279 0.9221 -4.5826
H -1.5942 0.0976 -4.3979
H -0.1632 -0.8066 -4.9254
C 1.0462 0.9535 4.0330
C -0.7111 3.1431 2.9548
H 1.9330 0.3424 4.2454
H 0.2068 0.5359 4.6089
H 1.2398 1.9570 4.4263
H -1.5843 3.6601 2.5371
H 0.0583 3.9025 3.1586
H -1.0072 2.7182 3.9178
H 2.4277 -1.2406 1.3481
H -1.2314 2.8136 -0.7782
C 1.8918 1.6375 -0.8979
H 2.8812 1.7726 -1.3686
H 1.9877 1.9562 0.1581
H 1.1835 2.3136 -1.4209
O 4.6141 -1.8270 0.0083
H 4.7390 -1.8026 -0.9785
H 4.0695 -1.0397 0.1747
N -3.1327 0.3333 -0.7735
C -2.7705 -0.4658 0.2887
C -3.7872 -1.0950 1.0127
C -3.4880 -1.9761 2.0292
C -2.1543 -2.2112 2.3467
C -1.1778 -1.5521 1.6277
N -1.4844 -0.6593 0.6380
H -2.7616 0.1497 -1.6978
H -4.1108 0.5749 -0.8273
H -4.8020 -0.9147 0.7046
H -4.2776 -2.4803 2.5696
H -1.8681 -2.9000 3.1335
H -0.1372 -1.7531 1.9039
*
```


Record 2
ORCA calculation (wB97M-V/def2-TZVPD) on a structure of composition C14H26NO8Rb.

Output
- ΔE to the lowest compared entry with this formula, charge and spin: 4.3 kcal/mol
- Gap between HOMO and LUMO: 3.120 eV

The geometry in ORCA input format:
```
! RIJCOSX wB97M-V def2-TZVPD def2/J DEFGRID3
* xyz -2 1
Rb 8.2582 -11.2647 -3.2156
O 6.3579 -10.2453 -7.2781
C 7.3132 -10.0953 -6.2803
O 7.0370 -9.1337 -5.5071
O 8.3224 -10.8042 -6.1193
H 5.9019 -9.4424 -6.9220
O 9.6118 -15.6798 -2.7358
C 9.9270 -14.3367 -2.8247
O 9.8219 -13.7225 -3.8860
O 10.2530 -13.7948 -1.7305
H 9.6140 -15.7632 -1.7711
C 11.8352 -7.3023 -3.7200
C 12.4773 -8.2977 -2.7448
C 13.2154 -7.5239 -1.5977
C 12.2487 -6.8443 -0.6461
C 11.1627 -7.8055 -0.1397
C 10.4989 -8.6521 -1.2167
N 11.5720 -9.2731 -2.0786
O 11.0568 -10.1345 -3.0557
C 9.4483 -7.7918 -1.9381
C 9.8742 -9.7808 -0.3526
C 13.6260 -9.0807 -3.4345
H 10.8904 -7.6042 -4.1669
H 12.5058 -7.1902 -4.5813
H 11.7526 -6.2832 -3.3331
H 13.9266 -6.8162 -2.0347
H 13.7631 -8.2267 -0.9648
H 11.8002 -5.9449 -1.0775
H 12.8322 -6.5765 0.2422
H 10.4465 -7.1948 0.4227
H 11.6610 -8.3801 0.6473
H 9.9079 -6.8885 -2.3461
H 8.7048 -7.3176 -1.2901
H 9.0924 -8.3124 -2.8258
H 10.6240 -10.4996 -0.0229
H 9.0964 -10.4678 -0.7074
H 9.3242 -9.2973 0.4640
H 13.2075 -9.6669 -4.2545
H 14.2758 -9.6862 -2.8025
H 14.3434 -8.4283 -3.9527
C 3.7235 -13.5282 -3.1949
C 4.7312 -12.7301 -2.4515
O 5.5296 -11.9968 -2.9781
C 4.7458 -12.8434 -0.9183
H 4.0968 -14.4897 -3.5425
H 3.4215 -12.9538 -4.0748
H 2.7754 -13.6228 -2.6618
H 3.8010 -12.3684 -0.6267
H 5.5875 -12.3163 -0.4819
H 4.6182 -13.8566 -0.5352
*
```


Record 3
ORCA calculation (wB97M-V/def2-TZVPD) on a structure of composition C14H27AuO.

Output
- <S²>: 2.010
- Gap between HOMO and LUMO (alpha / beta): 6.750 / 4.892 eV

The geometry in ORCA input format:
```
! RIJCOSX wB97M-V def2-TZVPD def2/J DEFGRID3
* xyz 2 3
C 0.9782 3.4005 0.7568
H 1.0837 4.4814 0.9311
H 1.9491 3.0365 0.3744
H 0.7848 2.8834 1.7007
C -0.1225 3.2138 -0.2919
H -0.0926 2.2270 -0.7892
H -1.0860 3.2592 0.2427
C -0.1035 4.3500 -1.3232
H -1.1100 4.6206 -1.6697
H 0.3598 5.2534 -0.8935
H 0.4516 4.0762 -2.2267
C -0.7597 -2.0994 -0.9964
C -1.1086 -1.0615 -1.8815
C 0.0618 -0.5458 -2.4955
C 1.2031 -1.2131 -1.9705
C 0.6866 -2.2467 -0.9871
C 1.4709 -3.4407 -0.5270
C 2.4756 -1.2991 -2.7204
- - -

-- Exercise --
Return the entries further above verbatim, please.

-- Written answer --
Record 1
ORCA calculation (wB97M-V/def2-TZVPD) on a structure of composition C14H26N6O6Ti.

Output
- ΔE to the lowest compared entry with this formula, charge and spin: 113.7 kcal/mol
- <S²>: 0.761
- Gap between HOMO and LUMO (alpha / beta): 5.093 / 5.048 eV

The geometry in ORCA input format:
```
! RIJCOSX wB97M-V def2-TZVPD def2/J DEFGRID3
* xyz 1 2
O 4.0330 -0.6645 -3.5286
H 3.6792 0.2041 -3.2422
Ti 0.4067 0.4267 -0.1934
N 0.6937 -1.4317 -0.9774
N -0.6009 0.6577 -1.9455
N 1.1362 0.1837 1.6899
N -0.4304 2.0236 0.7821
O 0.9121 -2.4818 -0.3120
O 1.9565 -0.9001 2.1524
O -1.1932 3.0432 0.1994
O -1.2838 1.6985 -2.2540
C -0.1934 -0.2732 -2.8294
C 0.4912 -1.4073 -2.3057
C 0.6945 1.0679 2.6049
C -0.1573 2.0768 2.1006
C 0.9804 -2.5808 -3.0741
H 2.0601 -2.6990 -2.8944
H 0.8417 -2.4879 -4.1529
H 0.4738 -3.5006 -2.7408
C -0.5074 -0.0148 -4.2559
H -0.0279 0.9221 -4.5826
H -1.5942 0.0976 -4.3979
H -0.1632 -0.8066 -4.9254
C 1.0462 0.9535 4.0330
C -0.7111 3.1431 2.9548
H 1.9330 0.3424 4.2454
H 0.2068 0.5359 4.6089
H 1.2398 1.9570 4.4263
H -1.5843 3.6601 2.5371
H 0.0583 3.9025 3.1586
H -1.0072 2.7182 3.9178
H 2.4277 -1.2406 1.3481
H -1.2314 2.8136 -0.7782
C 1.8918 1.6375 -0.8979
H 2.8812 1.7726 -1.3686
H 1.9877 1.9562 0.1581
H 1.1835 2.3136 -1.4209
O 4.6141 -1.8270 0.0083
H 4.7390 -1.8026 -0.9785
H 4.0695 -1.0397 0.1747
N -3.1327 0.3333 -0.7735
C -2.7705 -0.4658 0.2887
C -3.7872 -1.0950 1.0127
C -3.4880 -1.9761 2.0292
C -2.1543 -2.2112 2.3467
C -1.1778 -1.5521 1.6277
N -1.4844 -0.6593 0.6380
H -2.7616 0.1497 -1.6978
H -4.1108 0.5749 -0.8273
H -4.8020 -0.9147 0.7046
H -4.2776 -2.4803 2.5696
H -1.8681 -2.9000 3.1335
H -0.1372 -1.7531 1.9039
*
```


Record 2
ORCA calculation (wB97M-V/def2-TZVPD) on a structure of composition C14H26NO8Rb.

Output
- ΔE to the lowest compared entry with this formula, charge and spin: 4.3 kcal/mol
- Gap between HOMO and LUMO: 3.120 eV

The geometry in ORCA input format:
```
! RIJCOSX wB97M-V def2-TZVPD def2/J DEFGRID3
* xyz -2 1
Rb 8.2582 -11.2647 -3.2156
O 6.3579 -10.2453 -7.2781
C 7.3132 -10.0953 -6.2803
O 7.0370 -9.1337 -5.5071
O 8.3224 -10.8042 -6.1193
H 5.9019 -9.4424 -6.9220
O 9.6118 -15.6798 -2.7358
C 9.9270 -14.3367 -2.8247
O 9.8219 -13.7225 -3.8860
O 10.2530 -13.7948 -1.7305
H 9.6140 -15.7632 -1.7711
C 11.8352 -7.3023 -3.7200
C 12.4773 -8.2977 -2.7448
C 13.2154 -7.5239 -1.5977
C 12.2487 -6.8443 -0.6461
C 11.1627 -7.8055 -0.1397
C 10.4989 -8.6521 -1.2167
N 11.5720 -9.2731 -2.0786
O 11.0568 -10.1345 -3.0557
C 9.4483 -7.7918 -1.9381
C 9.8742 -9.7808 -0.3526
C 13.6260 -9.0807 -3.4345
H 10.8904 -7.6042 -4.1669
H 12.5058 -7.1902 -4.5813
H 11.7526 -6.2832 -3.3331
H 13.9266 -6.8162 -2.0347
H 13.7631 -8.2267 -0.9648
H 11.8002 -5.9449 -1.0775
H 12.8322 -6.5765 0.2422
H 10.4465 -7.1948 0.4227
H 11.6610 -8.3801 0.6473
H 9.9079 -6.8885 -2.3461
H 8.7048 -7.3176 -1.2901
H 9.0924 -8.3124 -2.8258
H 10.6240 -10.4996 -0.0229
H 9.0964 -10.4678 -0.7074
H 9.3242 -9.2973 0.4640
H 13.2075 -9.6669 -4.2545
H 14.2758 -9.6862 -2.8025
H 14.3434 -8.4283 -3.9527
C 3.7235 -13.5282 -3.1949
C 4.7312 -12.7301 -2.4515
O 5.5296 -11.9968 -2.9781
C 4.7458 -12.8434 -0.9183
H 4.0968 -14.4897 -3.5425
H 3.4215 -12.9538 -4.0748
H 2.7754 -13.6228 -2.6618
H 3.8010 -12.3684 -0.6267
H 5.5875 -12.3163 -0.4819
H 4.6182 -13.8566 -0.5352
*
```


Record 3
ORCA calculation (wB97M-V/def2-TZVPD) on a structure of composition C14H27AuO.

Output
- <S²>: 2.010
- Gap between HOMO and LUMO (alpha / beta): 6.750 / 4.892 eV

The geometry in ORCA input format:
```
! RIJCOSX wB97M-V def2-TZVPD def2/J DEFGRID3
* xyz 2 3
C 0.9782 3.4005 0.7568
H 1.0837 4.4814 0.9311
H 1.9491 3.0365 0.3744
H 0.7848 2.8834 1.7007
C -0.1225 3.2138 -0.2919
H -0.0926 2.2270 -0.7892
H -1.0860 3.2592 0.2427
C -0.1035 4.3500 -1.3232
H -1.1100 4.6206 -1.6697
H 0.3598 5.2534 -0.8935
H 0.4516 4.0762 -2.2267
C -0.7597 -2.0994 -0.9964
C -1.1086 -1.0615 -1.8815
C 0.0618 -0.5458 -2.4955
C 1.2031 -1.2131 -1.9705
C 0.6866 -2.2467 -0.9871
C 1.4709 -3.4407 -0.5270
C 2.4756 -1.2991 -2.7204